Reference no: EM13821691
Part -1:
Increasing Competitive:
So far in this module you have explored strategic approaches to marketing, from aligning marketing and business strategies to segmenting, targeting and positioning to creating new brand propositions and analysing both internal and external environments to create marketing mixes. One of the main goals for all of these strategic efforts is to enable organisations to get and keep their competitive advantage in order to thrive.
Attaining and sustaining competitive advantage takes more than just satisfying customers. Consider some food group you particularly like, such as bread. You may like several different types of bread and not really care who makes it. Most types of bread satisfy you, and you purchase whatever is on sale. Several companies that make bread are therefore satisfying you as a customer, but none have a competitive advantage over you. Then along comes a bread company that catches your attention. The naan, the challah, the white, the rye-they are all so delicious! Or perhaps it is not the best bread you have ever had, but it is good quality for the price. Suddenly, this bread company has captured your loyalty. Multiply your own consumption by thousands of bread eaters with similar needs, and the bread company has most likely managed to attain a competitive advantage. Its bread not only satisfies you, but it satisfies you more than the bread made by its competitors.
### The entry is interrupted by data records
=====
1.
An optimized crystal structure of NaGaCo2F8. Source: Alexandria via LeMat-Bulk, functional GGA+U.

Lattice parameters (Å, degrees): 4.783 6.455 4.819 90.00 90.65 90.00
Space group P2/m (No. 10)
Inequivalent atoms, fractional coordinates:
Na  0.000  0.000  0.000 (multiplicity 1)
Ga  0.000  0.500  0.000 (multiplicity 1)
Co  0.500  0.249  0.500 (multiplicity 2)
F  0.196  0.286  0.194 (multiplicity 4)
F  0.292  0.500  0.706 (multiplicity 2)
F  0.321  0.000  0.683 (multiplicity 2)

Properties
Raw total energy (Ha/atom): -0.17870

2.
An optimized crystal structure of BaVZnO4. Source: Alexandria via LeMat-Bulk, functional GGA+U.

Lattice parameters (Å, degrees): 5.201 5.795 7.600 90.00 101.88 90.00
Space group P2_1/m (No. 11)
Inequivalent atoms, fractional coordinates:
Ba  0.214  0.250  0.117 (multiplicity 2)
V  0.445  0.250  0.715 (multiplicity 2)
Zn  0.186  0.750  0.574 (multiplicity 2)
O  0.233  0.750  0.166 (multiplicity 2)
O  0.303  0.001  0.789 (multiplicity 4)
O  0.445  0.250  0.485 (multiplicity 2)

Properties
Raw total energy (Ha/atom): -0.22998

> Which value of raw total energy does entry 1 give?

-0.17870 Ha/atom

> raw total energy of number 1 (NaGaCo2F8)?

-0.17870 Ha/atom

> The highest raw total energy belongs to which entry?

NaGaCo2F8

> Which of these has the highest raw total energy?

NaGaCo2F8

* * * * *

# MgOs2Se

A geometry-optimized MgOs2Se structure (PBE, the Alexandria database).

Unit cell a=4.9869 b=4.9869 c=4.9869 alpha=134.21 beta=134.21 gamma=66.77
Last column: nearest neighbours and their distance in Å.
Positions (direct):
Mg1 0.7500 0.2500 0.5000  4 Se 2.74, 8 Os 2.85
Os1 0.0000 0.0000 0.0000  4 Os 2.74, 4 Se 2.85, 4 Mg 2.85
Os2 0.5000 0.5000 0.0000  4 Os 2.74, 4 Mg 2.85, 4 Se 2.85
Se1 0.2500 0.7500 0.5000  4 Mg 2.74, 8 Os 2.85

The value obtained for the energy relative to the elements, uncorrected is 672 meV/atom. The value obtained for the density of states at the Fermi level is 3.9 states/eV per cell. The calculation puts the energy above the most stable polymorph in this dataset at 0.5287 eV per atom. Its symmetry is I4/mmm.

# Mn2Ir2Rh3

A geometry-optimized Mn2Ir2Rh3 structure (PBE, the Alexandria database).

Unit cell a=3.7749 b=4.6829 c=6.0463 alpha=97.23 beta=90.00 gamma=113.77
Last column: nearest neighbours and their distance in Å.
Positions (direct):
Mn1 0.4273 0.8546 0.2852  5 Ir 2.66-2.73, 6 Rh 2.68-2.71, 1 Mn 2.72
Mn2 0.5727 0.1454 0.7148  5 Ir 2.66-2.73, 6 Rh 2.68-2.71, 1 Mn 2.72
Ir1 0.1415 0.2829 0.4347  3 Ir 2.65-2.69, 5 Mn 2.66-2.73, 4 Rh 2.67-2.74
Ir2 0.8585 0.7171 0.5653  3 Ir 2.65-2.69, 5 Mn 2.66-2.73, 4 Rh 2.67-2.74
Rh1 0.0000 0.0000 0.0000  4 Mn 2.69, 6 Rh 2.69-2.71, 2 Ir 2.74
Rh2 0.2860 0.5720 0.8552  3 Ir 2.67-2.71, 4 Mn 2.68-2.71, 5 Rh 2.69-2.71
Rh3 0.7140 0.4280 0.1448  3 Ir 2.67-2.71, 4 Mn 2.68-2.71, 5 Rh 2.69-2.71

The value obtained for the density of states at the Fermi level is 7.5 states/eV per cell. Its symmetry is C2/m.

# Ca2DyTl
=====
For this unit's Individual Assignment you will develop strategies for your chosen brand that will foster a competitive advantage for your proposed product.
To prepare for this Individual Assignment:
• Read Day (2003). Consider what author views as the components of customer-relating capability. How can these components be leveraged to build a competitive advantage?
• Read the module text chapters. In Chapter 11, consider how organisations can develop objectives and strategies to manage a product or brand through inception, growth, decline and new growth through new products or brands. In Chapter 19, review Porter's 5 Forces model.
• Read Hamel and Pralahad (1985), focusing on the strategies for building a global presence, defending domestic position and overcoming national fragmentation.
• Review some of the Sector Overviews in the Interbrand Web site. Consider how some of the world's top brands strategise to maintain competitive advantage.
To complete this Individual Assignment:
In a 1,000-word paper, create a plan for increasing competitive advantage for the selected organisation and brand. The plan should include three appropriate strategies for increasing competitive advantage in your chosen organisation. For each strategy, include the following:
• Explain how the strategies support overall corporate business and marketing strategies to increase competitive market advantage.
• Identify essential resources required to execute these strategies for increasing competitive advantage.
• Explain how you might measure performance related to meeting strategy objectives for increasing competitive advantage.
Part -2:
Using a PESTLE Analysis
No product or brand exists in a vacuum. An organisation must have a full understanding of not only its internal environment, but also of the external environment surrounding its products and brands. For the purposes of this unit, the external environment will be divided into the distant and near environments (also known as macro- and microenvironment or distal and proximal). The distant and near environments are associated with two analysis models respectively: the PESTL (political, economic, social, technological and legal) or one of its many variations and the Porter's 5 Forces model. It is essential to analyse both the distant and near environments in order to make informed decisions about the market for products and brands. An external analysis may also be used for control and evaluation purposes throughout a product's life cycle.
In the field of marketing, the distant environment is perceived as being composed of broad forces. These forces are often grouped together for analysis under some variation of PESTL. Some models also include an additional E for environmental which, in this case, refers to environmental issues such as pollution or ‘green' strategies rather than an organisation's internal and external environments. Growing environmental concerns across the globe are such that it is highly recommended that this factor is included. In addition to providing context for a marketing campaign, considering environmental factors may provide a competitive advantage by appealing to customers' growing desire to associate themselves with environmentally-awareorganisations and products. Other versions with similar areas of analysis include SLEPT, STEEPLE, EPISTEL and so forth. Each of the PESTLE forces is briefly described in this unit's Unit Introduction, accompanied by some questions that organisations should attempt to answer through analysis. These forces are also addressed in more depth in the Readings.
For this Shared Activity, you will conduct a PESTLE analysis on your featured organisation and brand, which will become the focus of your Final Project.
Imagine that the organisation you chose is in the decision phase of determining where to market new products and has selected one international market to research.
To prepare for this Shared Activity:
Misplaced data records
~~~
1.
# Tb2TmSb2Te2, optimized geometry, DFT PBE
# E = -4.7233 eV/atom
# SG = I4/mmm (139)
# Spin magnetization = 0.0 Bohr magnetons per cell
# Fermi-level density of states = 4.87 states/eV/f.u.
# Formation energy (no corrections) = -0.69 eV/atom
data_Tb2TmSb2Te2
_cell_length_a 5.6766
_cell_length_b 5.6766
_cell_length_c 8.5975
_cell_angle_alpha 109.28
_cell_angle_beta 109.28
_cell_angle_gamma 90.00
_symmetry_space_group_name_H-M 'P 1'
_symmetry_Int_Tables_number 1
loop_
_symmetry_equiv_pos_as_xyz
'x,y,z'
loop_
_atom_site_label
_atom_site_type_symbol
_atom_site_fract_x
_atom_site_fract_y
_atom_site_fract_z
_atom_site_occupancy
Te1 Te 0.8036 0.8036 0.6071 1
Te2 Te 0.1964 0.1964 0.3929 1
Sb1 Sb 0.5000 0.0000 0.0000 1
Sb2 Sb 0.0000 0.5000 0.0000 1
Tb1 Tb 0.6126 0.6126 0.2251 1
Tb2 Tb 0.3874 0.3874 0.7749 1
Tm1 Tm 0.0000 0.0000 0.0000 1

2.
# Tb2ThSb, optimized geometry, DFT PBE
# E = -5.6541 eV/atom
# SG = P4/mmm (123)
# Spin magnetization = 0.0 Bohr magnetons per cell
# Fermi-level density of states = 3.42 states/eV/f.u.
# Polymorph energy (0 for the lowest one) = 46 meV/atom
# Formation energy (no corrections) = -0.45 eV/atom
data_Tb2ThSb
_cell_length_a 4.7052
_cell_length_b 4.9068
_cell_length_c 4.9068
_cell_angle_alpha 90.00
_cell_angle_beta 90.00
_cell_angle_gamma 90.00
_symmetry_space_group_name_H-M 'P 1'
_symmetry_Int_Tables_number 1
loop_
_symmetry_equiv_pos_as_xyz
'x,y,z'
loop_
_atom_site_label
_atom_site_type_symbol
_atom_site_fract_x
_atom_site_fract_y
_atom_site_fract_z
_atom_site_occupancy
Tb1 Tb 0.0000 0.5000 0.0000 1
Tb2 Tb 0.0000 0.0000 0.5000 1
Th1 Th 0.5000 0.5000 0.5000 1
Sb1 Sb 0.5000 0.0000 0.0000 1

3.
# Tb5ThSb6, optimized geometry, DFT PBE
# E = -5.7298 eV/atom
# SG = C2/m (12)
# Spin magnetization = 0.0 Bohr magnetons per cell
# Fermi-level density of states = 3.09 states/eV/f.u.
# Formation energy (no corrections) = -1.12 eV/atom
data_Tb5ThSb6
_cell_length_a 7.6614
_cell_length_b 7.6579
_cell_length_c 7.6550
_cell_angle_alpha 59.99
_cell_angle_beta 80.40
_cell_angle_gamma 70.53
_symmetry_space_group_name_H-M 'P 1'
_symmetry_Int_Tables_number 1
loop_
_symmetry_equiv_pos_as_xyz
'x,y,z'
loop_
_atom_site_label
_atom_site_type_symbol
_atom_site_fract_x
_atom_site_fract_y
_atom_site_fract_z
_atom_site_occupancy
Sb1 Sb 0.2530 0.5788 0.3367 1
Sb2 Sb 0.7470 0.4212 0.6633 1
Sb3 Sb 0.2509 0.2534 0.0000 1
Sb4 Sb 0.2530 0.9155 0.6633 1
Sb5 Sb 0.7470 0.0845 0.3367 1
Sb6 Sb 0.7491 0.7466 0.0000 1
Th1 Th 0.0000 0.0000 0.0000 1
Tb1 Tb 0.0000 0.3329 0.3342 1
Tb2 Tb 0.5000 0.5000 0.0000 1
Tb3 Tb 0.5000 0.1652 0.6696 1
Tb4 Tb 0.5000 0.8348 0.3304 1
Tb5 Tb 0.0000 0.6671 0.6658 1

4.
# TbTh2Sb4, optimized geometry, DFT PBE
# E = -6.0466 eV/atom
# SG = I-42d (122)
# Spin magnetization = 0.0 Bohr magnetons per cell
# Fermi-level density of states = 3.89 states/eV/f.u.
# Formation energy (no corrections) = -0.91 eV/atom
data_TbTh2Sb4
_cell_length_a 8.1243
_cell_length_b 8.1243
_cell_length_c 8.1243
_cell_angle_alpha 109.69
_cell_angle_beta 109.04
~~~
• Review Evans and Richardson (2007). Consider how the featured business used a PESTLE tool to analyse its environment.
• Review Chapter 3 from the module text. Consider the environmental responses listed such as ignorance, delay and retrenchment for your discussion on amelioration strategies for environmental issues.
• Research similar PESTLE tools in the Readings and online. Select a template you think is a good fit with your Final Project organisation and proposed fictional product or create a PESTLE tool of your own.